[Ed: Dr. Edeen delivered this address (as “Education not Intimidation”) at Florida Carry’s 3rd Annual Camping Event at Rainbow Springs State Park in Dunnellon, Florida on February 8, 2020. We hope to obtain video and post it on our DRGO YouTube channel, too. Slightly edited for clarity.]
/*
# C25H19BrMnNO9S2

A structure of composition C25H19BrMnNO9S2 at a distorted geometry (ωB97M-V/def2-TZVPD, OMol25).

As for the multiplicity: 5. As for the lowest unoccupied orbital energy (alpha / beta): -3.89 / -1.12 eV.

Geometry as XYZ:
```
58
C25H19BrMnNO9S2 (ωB97M-V/def2-TZVPD)
Mn 2.612 -7.296 16.182
O 3.186 -4.349 21.686
C 3.036 -5.014 20.694
C 1.967 -4.823 19.718
O 1.194 -3.870 19.699
C 2.206 -5.743 18.601
C 3.234 -6.709 18.960
O 3.620 -7.561 18.102
C 3.687 -6.482 20.322
O 4.407 -7.222 21.003
O 1.600 -5.853 17.503
Br -1.223 -7.206 16.041
C -0.295 -8.833 16.183
C -1.012 -10.006 16.719
C -0.356 -11.195 16.762
C 0.983 -11.334 16.384
C 1.616 -10.152 15.998
N 1.031 -8.950 16.029
C 3.037 -10.077 15.670
O 3.790 -11.091 15.679
O 3.483 -8.872 15.455
H -2.091 -9.918 16.991
H -0.945 -12.087 16.912
H 1.537 -12.275 16.396
C 8.080 -7.029 14.326
S 7.120 -6.356 12.921
O 8.072 -5.796 11.922
C 6.419 -7.904 12.285
C 6.630 -8.349 10.957
C 6.073 -9.591 10.597
C 5.319 -10.260 11.565
C 5.151 -9.839 12.846
C 5.637 -8.584 13.174
H 9.129 -6.669 14.284
H 8.001 -8.146 14.549
H 7.626 -6.487 15.218
H 7.158 -7.731 10.186
H 6.312 -10.098 9.663
H 4.768 -11.165 11.295
H 4.679 -10.502 13.572
H 5.448 -8.103 14.166
C 1.015 -5.295 12.629
S 1.597 -5.047 14.287
O 2.613 -6.183 14.531
C 2.632 -3.687 13.983
C 3.253 -3.462 12.764
C 4.036 -2.401 12.602
C 4.206 -1.542 13.707
C 3.673 -1.812 14.921
C 2.867 -2.878 15.095
H 1.669 -5.750 11.922
H 0.555 -4.400 12.229
H 0.173 -6.065 12.732
H 3.178 -4.166 11.910
H 4.515 -2.097 11.680
H 4.926 -0.696 13.509
H 3.910 -1.098 15.714
H 2.386 -3.135 16.021
```

* * * * *

# C3H4N2O

An isolated molecule of C3H4N2O (wB97M-V/def2-TZVPD, OMol25).

Results
net charge	0
molar mass	84.1	g/mol
gap between HOMO and LUMO	8.55	eV
energy relative to the best compared isomer or geometry (same formula, charge and spin)	451.53	kJ/mol

Last column: Mulliken charge in e.
Atoms and positions in Å:
O: 0.309 1.148 -0.813  -0.50
C: 0.997 -0.959 -0.107  -0.25
C: -0.507 -1.224 -0.361  -0.02
N: -1.285 -0.320 0.101  -0.48
C: -0.293 0.665 0.473  0.07
N: 0.855 -0.091 0.931  -0.22
H: -0.187 0.870 -1.601  0.36
H: -0.893 -2.079 -0.907  0.38
H: -0.640 1.496 1.094  0.38
H: 1.644 0.494 1.190  0.28


# C3H4N2O

An isolated molecule of C3H4N2O (wB97M-V/def2-TZVPD, OMol25).

Results
net charge	0
molar mass	84.1	g/mol
gap between HOMO and LUMO	8.38	eV
energy relative to the best compared isomer or geometry (same formula, charge and spin)	430.53	kJ/mol

Last column: Mulliken charge in e.
Atoms and positions in Å:
O: 2.103 1.157 -0.560  -0.24
C: 1.457 1.006 -1.664  -0.33
C: 0.215 0.105 -1.322  0.11
N: 0.061 -0.113 -0.093  -0.41
C: -0.795 -0.633 0.856  0.09
N: -1.665 0.099 1.415  -0.60
H: 1.621 0.668 0.186  0.39
H: -0.434 -0.220 -2.141  0.39
H: -0.484 -1.635 1.175  0.32
H: -2.064 -0.392 2.212  0.26


# C3H4N2O

An isolated molecule of C3H4N2O (wB97M-V/def2-TZVPD, OMol25).

Results
net charge	0
molar mass	84.1	g/mol
gap between HOMO and LUMO	9.78	eV
SMILES	Oc1cc[nH]n1
*/
What do you do when your doctor asks if you own a gun?
You are at the pediatrician’s office for a routine well child visit. Maybe you just moved to a new town. The nurse hands you the standard paperwork with the questionnaire pertaining to your child’s health. You start filling out the form and right there . . . question number 14 . . . “Do you have a gun in the home?” It’s right after the question about swimming pools and right before the one about household cleaner storage. What do you answer?
[Next to the piece, the page also holds calculated molecules]
┌──
No. 1
Molecular formula: C48H101F3O26
Method: DFT, the ωB97M-V functional and the def2-TZVPD basis

Summary:
M ... 1151.30 g/mol
HOMO-LUMO gap ... 0.3289 Ha
Lowest unoccupied orbital energy ... 0.208 eV
SMILES string ... CCOC(=O)C(F)(F)F.C[C@H]1COC(=O)O1.C[C@H]1COC(=O)O1.COCCOCCOC.COCCOCCOC.COCCOCCOC.COCCOCCOC.COCCOCCOC.COCCOCCOC
HOMO energy ... -8.7 eV
Charge ... 0

Positions of all 178 atoms, in Å:
F -0.384 -3.260 -0.334
F -0.746 -2.783 -2.353
F -2.171 -2.192 -0.895
O 3.822 -2.601 -4.858
O 2.144 -1.217 -4.245
O 2.574 6.155 1.553
O 5.672 -0.764 0.549
O 1.537 -1.858 4.537
O -5.455 -2.446 -4.531
O -3.429 -3.777 2.691
O -0.920 3.752 -3.597
O 4.204 -3.301 2.405
O -5.594 0.107 -2.812
O 1.202 0.174 3.569
O 1.874 8.805 0.771
O 2.351 -5.761 1.401
O 0.517 3.591 -5.689
O -0.744 0.039 -1.309
O -5.833 -4.876 -5.674
O 2.882 3.068 0.960
O 0.111 4.463 6.531
O 3.262 -2.575 -2.765
O -2.543 2.981 0.445
O -1.532 -6.871 2.767
O -1.407 3.042 3.448
O 1.137 -1.012 -0.539
O -1.038 6.216 -2.797
O -5.243 -1.000 3.133
O 0.565 -1.738 2.530
C 3.276 -5.050 0.593
C -0.439 2.443 -3.782
C 2.142 4.017 0.226
C -0.104 -0.944 -1.042
C 0.469 -3.962 5.152
C -1.208 7.547 -2.390
C -4.274 0.180 -3.411
C 4.126 -2.074 1.806
C 2.277 2.889 2.253
C -6.555 -2.040 -3.753
C -2.181 5.373 -2.543
C 3.006 -2.025 -3.967
C -2.186 -5.858 2.106
C -0.413 -7.375 1.992
C 0.594 3.648 -7.141
C -2.902 4.188 1.141
C -0.117 2.314 -5.255
C -5.286 -4.998 -4.347
C 1.346 -3.204 4.138
C -3.907 -1.305 3.054
C 5.511 -1.340 1.906
C 1.784 0.199 -0.122
C -6.109 -1.267 -2.547
C -0.902 -2.339 -1.130
C 6.181 0.607 0.498
C 2.832 -6.977 2.010
C 4.893 -3.234 -4.237
C 2.465 0.808 -1.375
C 3.344 7.286 1.871
C 1.555 9.217 -0.481
C -1.643 3.967 -2.404
C 0.694 -3.098 2.744
C 4.361 -3.390 -2.859
C 6.253 -2.417 -4.236
C 1.148 -1.060 3.599
C 4.476 -4.321 1.388
C -3.376 -2.721 3.631
C 3.216 8.455 0.970
C -6.066 -1.942 2.409
C -1.862 2.024 1.355
C 2.893 5.441 0.401
C -0.871 2.920 4.764
C -2.852 -4.974 3.226
C -0.447 4.314 5.201
C 1.445 3.965 6.653
C -4.695 -3.658 -4.147
C -6.716 -5.980 -6.147
C -2.103 1.929 2.861
H 2.656 1.912 2.554
H -3.820 4.149 1.726
H 6.934 -2.552 -5.077
H 3.690 8.085 0.061
H 2.455 3.795 2.831
H -2.984 -6.134 1.417
H -3.651 -5.395 3.837
H -1.176 7.626 -1.303
H -6.420 -2.789 2.997
H -3.567 -0.243 -2.697
H -7.039 -1.483 2.230
H 2.285 -7.106 2.944
H -4.602 -5.838 -4.230
H -2.490 3.290 -2.300
H -3.853 -2.926 4.589
H -3.731 -3.698 -4.655
H 1.337 -3.482 1.952
H 0.482 9.314 -0.648
H 0.297 -6.559 1.854
H 3.998 -4.413 -2.753
H -3.136 1.813 3.187
H 7.034 0.865 1.126
H 6.257 -2.042 2.278
H -0.138 2.114 4.757
H -3.127 4.953 0.397
H 3.843 9.250 1.376
H 3.880 -7.192 2.221
H 2.058 10.175 -0.616
H 0.929 2.669 -7.485
H -4.113 1.214 -3.716
H 5.339 1.237 0.784
H 5.054 -4.246 -4.609
H 3.707 -5.495 -0.304
H -0.419 3.890 -7.463
H 6.001 -1.362 -4.126
H 0.291 -5.016 4.941
H -4.463 -0.425 -4.298
H 0.267 -8.084 2.465
H 1.068 0.854 0.374
H 3.209 1.506 -0.991
H 0.256 4.759 4.496
H 5.081 -5.125 1.805
H 2.723 5.845 -0.597
H -1.996 8.204 -2.759
└──
First, the presence of this question is no accident. In the 1980s and 1990s professional medical organizations declared a culture war on gun ownership. This includes the American Medical Association, American College of Physicians and the American Academy of Pediatricians.
The incoming AMA president in 2001 stated, “What we don’t know about violence and guns is killing us…researchers do not have the data to tell how kids get guns, if trigger locks work, what the warning signs of violence in schools and at the workplace are and other critical questions due to the lack of research funding”.
The AAP’s 2012 position statement is typical. It advocates removing guns from homes and communities. It advocates for the strictest possible legislative and regulatory approach to prevent firearms injuries and deaths. It recommends counseling patients about the dangers of allowing children and adolescents access to guns in and out of the home. It advocates for safe storage and gun locks but preferentially recommends complete removal of firearms from the home.
They state that the presence of firearms in the home increases the risk of lethal suicidal acts among adolescents. They advise counseling parents to remove or restrict access to guns, especially when children with mood disorders, substance abuse or prior suicide attempts reside in the home. They further advocate consumer product regulation regarding child access, “safety” and firearm design. They also advocate that law enforcement track legally owned firearms.
They further push for regulations aimed at illegal sales to minors. They claim that evidence supports the effectiveness of regulation of firearms that limit the access to children. They also want decreased destructive power of handguns and ammunition, “smart gun” technology and safe storage. They encourage legislative actions including waiting periods, closure of the “gun show loophole”, mental health restrictions and background checks. They also want the “assault weapons” ban restored. The AAP is pushing for the funding of research aimed at prevention of firearms injury. They also encourage the education of physician and professionals interested in the effects of firearms and how to reduce morbidity and mortality associated with their use.
It is important to note that the establishment public health and medical communities fail to account for the up to 2.4 million defensive gun uses annually. They also inflate the number of “gun violence” deaths by 200% by including suicide by firearms. They typically ignore the research of the criminologist and economist community. Also, much of what the AAP is asking for is already law. Unfortunately, the medical community will be unable to answer the question of “gun violence”. Their focus is on the gun and not the violent actor. They can urge passage of all kinds of restrictions and laws that affect law-abiding citizens, but they are naïve to think that the criminals will obey their laws and obtain firearms via supervised legal channels. Thus, the aim of gun control is not the gun but control.
The AMA, ACP and AAP have aggressively campaigned for doctors to advise patients to get rid of guns. We must understand some very important facts:
- Doctors receive absolutely no training about firearms safety, mechanics or tactics in medical school or residency.
- Gun ownership is a civil right. A doctor’s abuse of his position of trust to pressure you to give up that civil right is professionally and morally wrong. You DO NOT have to tolerate it.
- As a consumer, you have great power in the physician-patient relationship. USE IT.
This type of unprofessional behavior by some physicians led to Florida’s Firearm Owners Privacy Act in 2011. This law was enacted to stop physicians from misusing their position to push a political agenda. This abuse of authority is called an “ethical boundary violation”.
- The 2011 FOPA forbade physicians from pressing patients to give up their firearms or otherwise propagandizing using the doctor-patient relationship.
- It precluded routine documentation of firearm ownership.
- It did not preclude inquiring when relevant to patient care, safety concerns or unstable person’s access.
- It did not forbid doctors to provide general information.
Unfortunately, the 11th U.S. Circuit Court overturned the law in February 2016. The only provision upheld was that gun owners cannot be treated differently simply because they are gun owners. Also, no patient can be turned away when seeking medical care because the doctor does not approve of his answers to gun ownership questions.
In response to this, David Codrea, in his February 22, 2017, Ammoland article, “Pro-Gun Owner Physicians Decry ‘Docs vs. Glocks’ Ruling” introduced us to his Firearms Safety Counseling Representation: Physician Qualifications and Liability Form. The form was developed in collaboration with the late Joe Horn, LA County Sheriff’s office, Retired, Risk Management Specialist.
In Part One: Qualifications, it asks physicians to list their specific courses of study and certification/accreditation for giving firearms safety advice in the home. It asks physicians to certify that they have reviewed the applicable scientific literature pertaining to defensive gun use and beneficial results of private gun ownership. They are also asked whether they have reviewed other relevant home safety issues with the patient including: electricity, drains, disposals, compactors, garage doors, driveway safety, gas, broken glass, stored cleaning chemicals, buckets, toilets, sharp objects, garden tools, home tools, power tools, lawn mowers, lawn chemicals, scissors, needles, forks, knives, etc.
The doctor is then asked to state:
“I represent that I have sufficient data and expertise to provide expert and clinically sound advice to patients regarding firearms in the home.
I am knowingly engaging in home/firearms safety counseling without certification, license or formal training in Risk Management, and have NOT reviewed applicable scientific literature pertaining to defensive gun use and beneficial results of private firearms ownership.”
Part II: Liability asks physicians to document whether their malpractice insurance covers such counseling and to accept liability for any injury or death that results from patient following their advice. A “Yes” to either question is highly unlikely.
These quantum chemistry results were left in the text by mistake:
+++
(1)
Density functional theory data (ωB97M-V with the def2-TZVPD basis set) for a structure of composition C54H42ClMnN10O4S3 in a non-equilibrium geometry.

Last column: Löwdin charge in e.
Atoms and positions in Å:
Mn 1.46 0.68 0.68  0.368
C -1.51 0.39 4.80  -0.090
C -1.27 -0.54 3.88  -0.063
N -0.02 -0.64 3.20  0.123
C 0.92 0.40 3.58  -0.393
C 0.58 1.30 4.72  -0.040
N -0.57 1.33 5.27  0.113
C 2.33 -0.02 3.36  -0.180
C 3.23 -0.20 4.40  0.080
C 4.51 -0.64 4.13  -0.109
C 4.81 -0.98 2.80  0.065
C 3.84 -0.81 1.83  -0.156
N 2.64 -0.30 2.10  0.110
C 4.09 -1.30 0.45  -0.068
C 4.73 -2.52 0.24  -0.047
N 5.02 -3.02 -0.95  0.107
C 4.64 -2.28 -1.99  -0.081
C 3.98 -1.09 -1.87  0.031
N 3.70 -0.60 -0.64  -0.117
C 5.52 -0.77 5.20  -0.171
C 5.53 0.11 6.27  -0.006
C 6.51 -0.04 7.25  -0.123
N 7.44 -0.99 7.22  0.072
C 7.42 -1.83 6.19  -0.129
C 6.50 -1.76 5.16  -0.013
H -2.47 0.42 5.30  0.107
H -1.98 -1.32 3.62  0.109
H 1.36 1.97 5.07  0.129
H 2.92 0.01 5.42  0.133
H 5.80 -1.32 2.53  0.128
H 5.01 -3.10 1.11  0.130
H 4.87 -2.66 -2.98  0.122
H 3.66 -0.45 -2.68  0.144
H 4.83 0.93 6.35  0.117
H 6.54 0.64 8.09  0.112
H 8.18 -2.60 6.19  0.110
H 6.53 -2.49 4.37  0.110
O 2.31 2.52 2.85  -0.585
Cl 2.32 2.65 1.30  0.894
O 1.40 3.79 0.87  -0.606
O 0.18 0.64 2.41  -0.047
O 3.08 0.53 -0.57  -0.139
N 0.71 -1.12 0.04  -0.276
S -0.53 -1.63 -0.47  0.774
N -1.91 -0.73 -0.50  -0.358
S -2.47 0.18 -1.60  0.870
N -1.67 1.21 -2.42  -0.340
S -0.56 2.16 -1.60  0.783
N 0.26 1.53 -0.62  -0.293
C -1.58 3.52 -1.06  -0.321
C -1.63 3.73 0.31  -0.053
C -2.44 4.76 0.79  -0.047
C -3.16 5.55 -0.10  -0.065
C -3.07 5.33 -1.47  -0.068
C -2.28 4.30 -1.96  -0.074
C 0.27 2.86 -3.00  -0.309
C 1.02 4.00 -2.70  -0.047
C 1.81 4.55 -3.69  -0.050
C 1.86 3.97 -4.95  -0.067
C 1.13 2.83 -5.23  -0.070
C 0.33 2.26 -4.25  -0.067
C -3.26 -0.78 -2.87  -0.305
C -2.85 -0.69 -4.19  -0.057
C -3.47 -1.50 -5.13  -0.057
C -4.48 -2.37 -4.75  -0.057
C -4.88 -2.45 -3.42  -0.049
C -4.27 -1.65 -2.47  -0.063
C -3.84 0.93 -0.75  -0.310
C -4.08 0.68 0.59  -0.051
C -5.16 1.30 1.20  -0.052
C -5.96 2.16 0.47  -0.054
C -5.71 2.41 -0.87  -0.050
C -4.64 1.80 -1.49  -0.060
C -1.18 -2.98 0.51  -0.306
C -0.21 -3.69 1.21  -0.063
C -0.61 -4.74 2.02  -0.060
C -1.95 -5.08 2.12  -0.065
C -2.90 -4.36 1.42  -0.064
C -2.52 -3.30 0.61  -0.079
C -0.44 -2.24 -2.15  -0.297
C -1.19 -3.30 -2.63  -0.053
C -1.04 -3.66 -3.97  -0.065
C -0.18 -2.96 -4.79  -0.069
C 0.56 -1.89 -4.29  -0.068
C 0.43 -1.53 -2.96  -0.080
H -1.02 3.13 0.97  0.097
H -2.49 4.95 1.85  0.114
H -3.78 6.35 0.28  0.109
H -3.62 5.96 -2.16  0.109
H -2.21 4.13 -3.02  0.120
H 1.00 4.41 -1.69  0.115
H 2.39 5.44 -3.47  0.115
H 2.49 4.41 -5.72  0.109
H 1.18 2.38 -6.21  0.107
H -0.25 1.37 -4.45  0.082
H -2.07 0.01 -4.47  0.096
H -3.17 -1.44 -6.17  0.117
H -4.96 -2.99 -5.49  0.114
H -5.67 -3.12 -3.12  0.114
H -4.58 -1.69 -1.43  0.111
H -3.42 0.01 1.14  0.100
H -5.36 1.12 2.25  0.112
H -6.80 2.65 0.96  0.113
H -6.33 3.09 -1.43  0.116
H -4.42 1.99 -2.54  0.123
H 0.82 -3.38 1.15  0.103
+++
Here the text continues:
DRGO’s advice is as follows:
- Politely refuse to answer the question.
- If the question appears on your health plan questionnaire, file a formal complaint with the health plan.
- If the heath plan responds with the excuse that their questions about your guns are standard medical practice that they must follow, file a complaint with the state agency that regulates health plans.
- If the doctor persists in asking intrusive questions about guns in your home, you can file a complaint against him or her with the health plan.
- You can rate the physician on an internet rating site such as Yelp.com, Healthgrades.com etc.
- Medicare and insurance companies will often tie reimbursement rates with patient satisfaction surveys. You may have an impact if you report the unethical behavior regarding your guns to the payor.
- If the conduct is especially offensive, you can submit a complaint to the State Medical Board for an ethical boundary violation. This is a serious accusation and will be addressed by the Medical Board.
However, I have some advice myself as well:
- You can choose to lie or shade the truth. “I don’t own ‘a’ gun”, Tom Gresham of Gun Talk radio has said numerous times. “It is not a sin to lie to somebody who doesn’t have the right to know the truth.” Remember, in the age of electronic medical records, the government and who knows who else have access to your records. They can and eventually will be used as a backdoor gun registry.
- Have David Codrea and Joe Horn’s Liability Questionnaire handy when you go for a medical appointment.
- You have the option to fire the doctor and seek care elsewhere. DRGO has a matching service for helping find Second Amendment friendly providers. It is called 2Adoc.com and is free and confidential.
- You can report the anti-gun zealots to their State Medical Boards for their Ethical Boundary Violations.
- Please visit DRGO.us to find more resources regarding this and other Second Amendment related medical topics.
—Dr. John Edeen is a pediatric orthopedic surgeon in San Antonio, TX and is active in seeking the right to carry for qualified hospital staff. He is DRGO’s Membership Director.